## Activity
Start at the top of the entries underneath and print each line, ending with the one that has "C23H27AuN4OS2".

## Excerpt
~~~
C5H8N2 | ωB97M-V/def2-TZVPD

The geometry in ORCA input format:
```
! RIJCOSX wB97M-V def2-TZVPD def2/J DEFGRID3
* xyz 0 1
C 2.8424 0.1311 0.2431
C 1.5118 0.8470 0.3128
C 0.3567 0.0131 -0.1191
C 0.3154 -1.4385 -0.5021
C -1.0103 0.5232 0.4442
N 3.9172 -0.3106 0.1348
N 0.9466 0.9423 -1.0178
H 1.3389 1.6448 0.9787
H -0.2361 -1.4304 -1.3867
H -0.1629 -2.1039 0.3520
H 1.3928 -1.6590 -0.7714
H -1.7481 0.3321 -0.4038
H -0.9366 1.5686 0.5022
H -1.3167 -0.0893 1.2844
H 0.4414 1.8798 -1.0832
*
```

Orbital gap in eV: 10.903
Max |F| in eV/Å: 3.6
SMILES: CC1(C)N[C@@H]1C#N
HOMO in eV: -10.2
LUMO in Ha: 0.0257



ClMnNaO8S2 | ωB97M-V/def2-TZVPD

The geometry in ORCA input format:
```
! RIJCOSX wB97M-V def2-TZVPD def2/J DEFGRID3
* xyz -2 6
Na 2.9383 -15.4211 -1.7097
Mn 0.9132 -17.0075 -3.2104
S 3.9626 -17.2367 -4.2899
O 2.6916 -16.5545 -3.9240
O 3.9103 -17.8952 -5.5367
O 4.9277 -16.0928 -4.5241
O 4.4714 -18.1451 -3.2055
S 2.2971 -18.4903 -0.3502
O 1.3116 -19.5412 0.0552
O 2.3567 -17.7391 0.8934
O 3.4219 -19.1543 -0.8940
O 1.8570 -17.6154 -1.4457
Cl 3.9036 -13.0875 -3.1561
*
```

Orbital gap (alpha / beta) in eV: 3.560 / 3.530
Max |F| in eV/Å: 10.2
HOMO (alpha / beta) in eV: -1.6 / -1.6
LUMO (alpha / beta) in Ha: 0.0736 / 0.0724



C23H27AuN4OS2 | ωB97M-V/def2-TZVPD

The geometry in ORCA input format:
```
! RIJCOSX wB97M-V def2-TZVPD def2/J DEFGRID3
* xyz 2 3
Au 0.0173 -0.3456 0.2805
C -4.5186 -1.3083 -3.0597
C -4.1902 -2.4545 -2.0894
N -4.2114 -1.9549 -0.7235
C -5.4849 -2.0631 -0.0122
C -5.5292 -3.3641 0.8020
C -3.0734 -1.4238 -0.1033
S -1.5766 -1.6102 -0.9417
N -3.3369 -0.9242 1.0674
C -2.5905 -0.1228 1.8909
O -1.7099 0.6407 1.4681
C -2.9314 -0.1870 3.3123
C -1.9731 0.2153 4.2496
C -2.2415 0.1031 5.5989
C -3.4682 -0.4055 6.0218
C -4.4272 -0.7985 5.0964
C -4.1617 -0.6940 3.7436
H -4.5145 -1.7145 -4.0700
H -3.7690 -0.5211 -2.9936
H -5.5034 -0.8872 -2.8592
H -3.2093 -2.8672 -2.3060
H -4.9365 -3.2437 -2.1516
H -6.2675 -2.0514 -0.7683
H -5.5844 -1.2029 0.6409
H -5.4027 -4.2378 0.1623
H -6.5031 -3.4326 1.2852
H -4.7525 -3.3625 1.5662
H -1.0121 0.5815 3.9076
H -1.4974 0.4021 6.3252
H -3.6744 -0.4966 7.0805
H -5.3804 -1.1831 5.4334
H -4.9127 -0.9779 3.0187
N 1.5946 -2.0184 -0.0613
C 2.6830 -2.0098 0.8724
C 2.5673 -2.7310 2.0511
C 3.6000 -2.6962 2.9742
C 4.7389 -1.9451 2.7181
C 4.8444 -1.2297 1.5351
C 3.8117 -1.2509 0.6104
H 1.0200 -2.8506 0.0136
H 1.8871 -1.8870 -1.0232
H 1.6809 -3.3300 2.2385
H 3.5182 -3.2619 3.8931
H 5.5466 -1.9243 3.4370
H 5.7371 -0.6543 1.3279
H 3.8864 -0.6884 -0.3140
S 1.6226 1.1317 1.2227
C 0.8994 2.6533 0.7436
N -0.2121 3.0825 1.3831
C -0.8079 4.2705 1.1618
C -0.2805 5.1315 0.2414
C 0.8600 4.7355 -0.4579
C 1.4427 3.5054 -0.2125
H -0.6256 2.4369 2.0474
H -1.6926 4.4846 1.7431
H -0.7435 6.0927 0.0727
H 1.2934 5.3965 -1.1980
H 2.3307 3.1852 -0.7377
*
```

Orbital gap (alpha / beta) in eV: 7.476 / 4.514
Max |F| in eV/Å: 0.7
HOMO (alpha / beta) in eV: -13.4 / -13.8
LUMO (alpha / beta) in Ha: -0.2182 / -0.3411



Question: Number 2 is which compound?
Answer: ClMnNaO8S2


CH4INS | ωB97M-V/def2-TZVPD

Calculated values
* LUMO (spin up / spin down): -0.395 / -0.395 eV
* Kohn-Sham gap (spin up / spin down): 8.13 / 8.13 eV
* net charge: 0
* HOMO (spin up / spin down): -8.528 / -8.528 eV
* energy relative to the best compared isomer or geometry (same formula, charge and spin): 74.74 kcal/mol

Positions of all 8 atoms, in Å:
1 C -0.975 -1.224 -0.520
2 N 1.038 0.244 -0.793
3 S 0.539 -0.965 0.014
4 I 3.023 0.658 -0.232
5 H -1.484 -2.010 0.032
6 H -0.283 2.134 1.802
7 H -1.453 -0.836 -1.414
8 H -0.405 1.999 1.111

=====

C48H114BF4N7O18 | ωB97M-V/def2-TZVPD

Calculated values
* LUMO: -5.578 eV
* Kohn-Sham gap: 2.92 eV
* net charge: +4
* HOMO: -8.496 eV
* energy relative to the best compared isomer or geometry (same formula, charge and spin): 252.00 kcal/mol

Positions of all 192 atoms, in Å:
1 C -1.734 1.497 -1.394
2 C -0.502 1.694 -1.954
3 C 0.695 0.898 -1.526
4 O 1.912 0.960 -1.971
5 C 0.554 -0.158 -0.627
6 C -0.741 -0.532 -0.036
~~~

## Written answer
C5H8N2 | ωB97M-V/def2-TZVPD

The geometry in ORCA input format:
```
! RIJCOSX wB97M-V def2-TZVPD def2/J DEFGRID3
* xyz 0 1
C 2.8424 0.1311 0.2431
C 1.5118 0.8470 0.3128
C 0.3567 0.0131 -0.1191
C 0.3154 -1.4385 -0.5021
C -1.0103 0.5232 0.4442
N 3.9172 -0.3106 0.1348
N 0.9466 0.9423 -1.0178
H 1.3389 1.6448 0.9787
H -0.2361 -1.4304 -1.3867
H -0.1629 -2.1039 0.3520
H 1.3928 -1.6590 -0.7714
H -1.7481 0.3321 -0.4038
H -0.9366 1.5686 0.5022
H -1.3167 -0.0893 1.2844
H 0.4414 1.8798 -1.0832
*
```

Orbital gap in eV: 10.903
Max |F| in eV/Å: 3.6
SMILES: CC1(C)N[C@@H]1C#N
HOMO in eV: -10.2
LUMO in Ha: 0.0257



ClMnNaO8S2 | ωB97M-V/def2-TZVPD

The geometry in ORCA input format:
```
! RIJCOSX wB97M-V def2-TZVPD def2/J DEFGRID3
* xyz -2 6
Na 2.9383 -15.4211 -1.7097
Mn 0.9132 -17.0075 -3.2104
S 3.9626 -17.2367 -4.2899
O 2.6916 -16.5545 -3.9240
O 3.9103 -17.8952 -5.5367
O 4.9277 -16.0928 -4.5241
O 4.4714 -18.1451 -3.2055
S 2.2971 -18.4903 -0.3502
O 1.3116 -19.5412 0.0552
O 2.3567 -17.7391 0.8934
O 3.4219 -19.1543 -0.8940
O 1.8570 -17.6154 -1.4457
Cl 3.9036 -13.0875 -3.1561
*
```

Orbital gap (alpha / beta) in eV: 3.560 / 3.530
Max |F| in eV/Å: 10.2
HOMO (alpha / beta) in eV: -1.6 / -1.6
LUMO (alpha / beta) in Ha: 0.0736 / 0.0724



C23H27AuN4OS2 | ωB97M-V/def2-TZVPD